### Work order
What is needed: reproduce all of the contents further down with every line break kept.

### Source
+++
{
  "formula": "C19H41BCaN6Si4Te",
  "method": "the ωB97M-V functional and the def2-TZVPD basis",
  "relative_energy_kcal_mol": 28.93,
  "e_lumo_ev": 0.26,
  "spin_multiplicity": 1,
  "symbols": ["H", "N", "B", "N", "C", "Ca", "H", "C", "H", "C", "H", "C", "H", "H", "H", "N", "N", "N", "N", "C", "C", "H", "H", "C", "C", "C", "C", "H", "H", "H", "H", "H", "C", "Si", "C", "C", "Si", "Te", "Si", "C", "C", "C", "Si", "C", "C", "C", "H", "H", "H", "H", "H", "H", "H", "H", "H", "H", "H", "H", "H", "H", "H", "H", "H", "H", "H", "H", "H", "H", "H", "H", "H", "H", "H"],
  "coordinates": [[3.36064, 0.21456, 1.10467], [3.50089, -1.28015, -0.38213], [4.33845, -3.13259, -2.00422], [4.46464, -2.15728, -0.77522], [5.55903, -1.97545, 0.00484], [1.72211, -1.25239, -1.27724], [6.44670, -2.58451, -0.15885], [5.29807, -0.95801, 0.92358], [5.96411, -0.56941, 1.69204], [3.98559, -0.54706, 0.64196], [5.29832, -3.87242, -1.95755], [-1.05578, 0.32891, -3.51646], [-1.96824, 0.92570, -3.38771], [-1.43280, -0.76707, -3.33543], [-0.71809, 0.29483, -4.56254], [4.34471, -2.36373, -3.33665], [3.03987, -3.96156, -1.84230], [3.43358, -1.39950, -3.63763], [1.84998, -3.38436, -1.54581], [5.27650, -2.48052, -4.32981], [2.87562, -5.30131, -1.98609], [6.08072, -3.21299, -4.25649], [3.72786, -5.93614, -2.22493], [4.96414, -1.55412, -5.31862], [1.53072, -5.60511, -1.77630], [3.80260, -0.90906, -4.82831], [0.92797, -4.36377, -1.49713], [5.49051, -1.38043, -6.25713], [1.05769, -6.58534, -1.80899], [3.21442, -0.11400, -5.29244], [-0.10807, -4.12836, -1.25218], [-0.24153, 0.73109, -2.88502], [-1.67006, 3.66306, -1.10942], [-2.93166, 2.90919, 0.04210], [-3.63883, 4.24707, 1.13441], [-4.30248, 2.22753, -1.02382], [-1.99445, 1.25733, 1.25368], [-1.14706, -0.38613, -0.38514], [-0.38650, 1.99461, 2.64332], [-1.14981, 2.95794, 4.04883], [0.59096, 0.56325, 3.33842], [0.81680, 3.09644, 1.74301], [-3.55365, 0.04572, 2.35973], [-4.66705, 1.11354, 3.40934], [-4.61679, -0.90113, 1.14436], [-2.74396, -1.23221, 3.44934], [-2.16166, 4.44083, -1.72854], [-1.25617, 2.87564, -1.76992], [-0.85075, 4.12939, -0.53492], [-4.10363, 5.02815, 0.49927], [-4.41057, 3.81738, 1.80403], [-2.82984, 4.69999, 1.73917], [-3.90764, 1.41396, -1.66620], [-5.11760, 1.84482, -0.38152], [-4.70760, 3.03849, -1.66291], [-1.83039, 2.29739, 4.62129], [-0.34882, 3.32616, 4.72176], [-1.71765, 3.82077, 3.64984], [1.05285, -0.00536, 2.50492], [1.38747, 0.95666, 4.00228], [-0.06054, -0.10817, 3.92371], [1.26095, 2.54516, 0.88892], [0.29161, 4.00173, 1.38524], [1.61911, 3.40622, 2.44357], [-5.21116, 1.82870, 2.76232], [-5.40134, 0.46496, 3.93046], [-4.06842, 1.66419, 4.16005], [-3.97653, -1.57090, 0.53373], [-5.34948, -1.51705, 1.70441], [-5.16444, -0.21107, 0.47973], [-2.06845, -1.86860, 2.84061], [-2.17710, -0.72830, 4.25425], [-3.52859, -1.86573, 3.91232]],
+++

### Reply
{
  "formula": "C19H41BCaN6Si4Te",
  "method": "the ωB97M-V functional and the def2-TZVPD basis",
  "relative_energy_kcal_mol": 28.93,
  "e_lumo_ev": 0.26,
  "spin_multiplicity": 1,
  "symbols": ["H", "N", "B", "N", "C", "Ca", "H", "C", "H", "C", "H", "C", "H", "H", "H", "N", "N", "N", "N", "C", "C", "H", "H", "C", "C", "C", "C", "H", "H", "H", "H", "H", "C", "Si", "C", "C", "Si", "Te", "Si", "C", "C", "C", "Si", "C", "C", "C", "H", "H", "H", "H", "H", "H", "H", "H", "H", "H", "H", "H", "H", "H", "H", "H", "H", "H", "H", "H", "H", "H", "H", "H", "H", "H", "H"],
  "coordinates": [[3.36064, 0.21456, 1.10467], [3.50089, -1.28015, -0.38213], [4.33845, -3.13259, -2.00422], [4.46464, -2.15728, -0.77522], [5.55903, -1.97545, 0.00484], [1.72211, -1.25239, -1.27724], [6.44670, -2.58451, -0.15885], [5.29807, -0.95801, 0.92358], [5.96411, -0.56941, 1.69204], [3.98559, -0.54706, 0.64196], [5.29832, -3.87242, -1.95755], [-1.05578, 0.32891, -3.51646], [-1.96824, 0.92570, -3.38771], [-1.43280, -0.76707, -3.33543], [-0.71809, 0.29483, -4.56254], [4.34471, -2.36373, -3.33665], [3.03987, -3.96156, -1.84230], [3.43358, -1.39950, -3.63763], [1.84998, -3.38436, -1.54581], [5.27650, -2.48052, -4.32981], [2.87562, -5.30131, -1.98609], [6.08072, -3.21299, -4.25649], [3.72786, -5.93614, -2.22493], [4.96414, -1.55412, -5.31862], [1.53072, -5.60511, -1.77630], [3.80260, -0.90906, -4.82831], [0.92797, -4.36377, -1.49713], [5.49051, -1.38043, -6.25713], [1.05769, -6.58534, -1.80899], [3.21442, -0.11400, -5.29244], [-0.10807, -4.12836, -1.25218], [-0.24153, 0.73109, -2.88502], [-1.67006, 3.66306, -1.10942], [-2.93166, 2.90919, 0.04210], [-3.63883, 4.24707, 1.13441], [-4.30248, 2.22753, -1.02382], [-1.99445, 1.25733, 1.25368], [-1.14706, -0.38613, -0.38514], [-0.38650, 1.99461, 2.64332], [-1.14981, 2.95794, 4.04883], [0.59096, 0.56325, 3.33842], [0.81680, 3.09644, 1.74301], [-3.55365, 0.04572, 2.35973], [-4.66705, 1.11354, 3.40934], [-4.61679, -0.90113, 1.14436], [-2.74396, -1.23221, 3.44934], [-2.16166, 4.44083, -1.72854], [-1.25617, 2.87564, -1.76992], [-0.85075, 4.12939, -0.53492], [-4.10363, 5.02815, 0.49927], [-4.41057, 3.81738, 1.80403], [-2.82984, 4.69999, 1.73917], [-3.90764, 1.41396, -1.66620], [-5.11760, 1.84482, -0.38152], [-4.70760, 3.03849, -1.66291], [-1.83039, 2.29739, 4.62129], [-0.34882, 3.32616, 4.72176], [-1.71765, 3.82077, 3.64984], [1.05285, -0.00536, 2.50492], [1.38747, 0.95666, 4.00228], [-0.06054, -0.10817, 3.92371], [1.26095, 2.54516, 0.88892], [0.29161, 4.00173, 1.38524], [1.61911, 3.40622, 2.44357], [-5.21116, 1.82870, 2.76232], [-5.40134, 0.46496, 3.93046], [-4.06842, 1.66419, 4.16005], [-3.97653, -1.57090, 0.53373], [-5.34948, -1.51705, 1.70441], [-5.16444, -0.21107, 0.47973], [-2.06845, -1.86860, 2.84061], [-2.17710, -0.72830, 4.25425], [-3.52859, -1.86573, 3.91232]],